Highwater Trek Co Podcast
Nature junkies who dream of providing accessible experiences of healing, connection and adventure in the outdoors.
Friday Aug 04, 2023
Friday Aug 04, 2023
Friday Aug 04, 2023
Welcome back Highwater Trekkies! It is once again time for a brand spankin' new episode. Join our hosts as they take a deep dive into the topic of hydration, and how to utilize beverages to best serve us as we adventure on trail and beyond. Tune in as Katy gives us an education about our own bodies' biological mechanisms that play a role in hydration, and how osmoality runs the show. Sam gives us the scoop on which beverages and foods are the most hydrating, with some surprising results. Our hosts also discuss the individual variables that affect hydration needs, as well as learn about the unique experience of hydration for women. Join the conversation as we explore how to work with our own physiology to properly hydrate (and talk a whole bunch about sodium.)
Questions? Comments? Concerned if Sam has a pulse?
Write us! We would love to hear from you.
Follow us on:
Instagram @highwatertrekco
Facebook @highwatertrekco
Theme song "Ozark Stomp" by the talented Peter J. Lehman. Give him a follow on Instagram to find his singles and albums, and to keep up with what he has going on:
You can find the interviews with Dr. Sam Cheuvront and Dr. Robert Kenefick on The Science of Ultra Podcast wherever you listen to podcasts, or by visiting the episode website links:
Episode 4: Hydration Physiology: The Basics
Episode 7: Hydration Physiology: Application
Find the work of Dr. Stacy Sims by visiting her WEBSITE
Check out her book “Roar: How to Match Your Food and Fitness to Your Unique Female Physiology for Optimum Performance, Great Health, and a Strong, Lean Body for Life” on Amazon
Listen to her interviews on:
The Proof with Simon Hill Podcast, Episode 259: Hydration for Optimal Health and Performance
The Physical Performance Show, Episode 207: Expert Edition: Stacy Sims, PhD, Female Physiology and Endurance Training
Read more about the differences between men and women’s thermoregulation:”Sex differences in the physiological adaptations to heat acclimation: a state-of-the-art review”
And last but not least! Check out GearSkeptic’s series on Performance Nutrition for Backpackers on YouTube
Please note: the above link is for the playlist of all videos in this series, but if you’re looking for hydration specific, check out Part 3: Hydration strategies and Part 4: Electrolyte Balance.
Thursday Jul 20, 2023
Trailments: Dehydration and Heat Illness
Thursday Jul 20, 2023
Thursday Jul 20, 2023
Welcome Back Trekkies!
Take off your boots and stretch your toes, because we're back with our second installment of our Trailments Series!
Join Sam, Katy, a creaky table, some aggressively rolly chairs, and the a/c that refused to be silenced by noise reduction techniques as we discuss dehydration and heat illness: just in time for the dog days of summer.
Grab your water bottle and settle in for the crowning achievement of Katy's life--the opportunity to ramble about dehydration. We get an overview of what it is, what's happening inside our bodies when we're dehydrated, what factors may make us more susceptible, how we can prevent and treat it when we're heading out on trail, and how to avoid hyponatremia in our quest to stay hydrated. We also talk about electrolytes-- how they don't have to be complicated or expensive to help us absorb fluid optimally, and touch on the importance of proper prior planning when it comes to your hydration needs.
In a related, and terrifying vein, Sam takes us on a journey through the different faces of heat illness, including heat cramps, heat exhaustion, heat stroke, and heat syncope. Revel in the unrivaled cooling abilities of evaporation with us, develop new anxiety over what happens when it's too hot for our system to keep up, and learn how to treat heat illnesses. We also talk about heat rash and debate what exactly a groin entails.
Stay cool out there Trekkies. Keep an eye on each other and remember: if you encounter a hiker on trail who is naked and fanning themselves, don't judge. They may be trying to treat heat illness. You could offer help, but perhaps offer it from a distance, in case they're just weird.
As always, thank you! We're sorry. And you're welcome.
Do you know what a groin is? Send the answer, your love letters, questions, comments, or hate mail to:
Follow us on:
Instagram @highwatertrekco
Facebook @highwatertrekco
Theme song "Ozark Stomp" by the talented Peter J. Lehman. Give him a follow on Instagram to find his singles and albums, and to keep up with what he has going on:
Thursday Jul 06, 2023
Social Media vs Reality
Thursday Jul 06, 2023
Thursday Jul 06, 2023
Summertime is in full swing here in the Ozarks, and the swelter is our companion on today's episode as we tackle the at-times contentious topic of how backpacking and nature are represented on social media. We ponder if backpacking is accurately portrayed, and does social media lead to unrealistic expectations? Do content creators bear any responsibility to be transparent or to educate? We dive into the implications of modern nature photography, and the possible resulting effects of different photographic approaches. We also discuss the immense growth of the hiking hobby, and consider the consequential commercialization amongst other outcomes.
Tune in to hear our take as we examine our own intentions and purposes in today's ever expanding technological age. We recognize the ability of social media to do great good, yet seek true purpose offline and are not comfortable signing over personal autonomy to internet strangers. So while social media can be and is a wonderful tool when utilized properly, we hope to be only inspired and not influenced.
Send us a love letter XOXO
Follow us on:
Instagram @highwatertrekco
Facebook @highwatertrekco
Theme song "Ozark Stomp" by the talented Peter J. Lehman. Give him a follow on Instagram to find his singles and albums, and to keep up with what he has going on:
Understanding the Role of Social Media in Backpacker Tourism
Is Nature Photography Too Beautiful?
Hikers for an 8th Leave No Trace Principle
Thursday Jun 22, 2023
Post Trail Blues
Thursday Jun 22, 2023
Thursday Jun 22, 2023
Team Giggles is back to tackle a not-so-giggly subject: Post Trail Depression.
We've all been there--wrapping up a backpacking trip riding an adventure high, only to descend into melancholy after returning home. Join us as we explore where this phenomenon potentially comes from and ways we can try to cope with the often tough transition from trail life back to "real life".
We talk about the parallels between Post Trail Blues, Post Race Blues, and Post Adrenalin blues, shamelessly fangirl over Dr. Anne K. Baker and her impressive research on this subject, and are joined by a rotund fly who would not allow his operatic debut to go unnoticed.
We discuss the significance of the identity we develop on trail, and how perhaps holding on to this trail self can help ease the loss of all the things about being on trail that we love and desperately miss when we re-enter society.
## Misplaced quantum chemistry results
/*
86
Properties=species:S:1:pos:R:3 method="wB97M-V/def2-TZVPD" spin_multiplicity=5 e_lumo_ev="-5.213 / -8.657" gap_ev="6.97 / 5.21" e_tot_ev=-74606.9603 s_squared=6.033 total_charge=+2 de_lowest_kcal_mol=0.0 e_homo_ev="-12.186 / -13.866"
Ir -0.40 0.00 -0.13
Sb -0.47 -0.40 -2.78
P -0.47 -1.78 1.49
P 1.72 -0.10 1.03
O -0.43 2.36 -1.37
O -2.78 3.66 1.72
O -1.52 1.89 0.50
N 1.18 -1.50 1.81
C -3.49 -0.34 -3.10
C -2.18 -0.68 3.35
C 5.77 -1.10 -0.82
C 1.31 1.09 3.51
C 5.70 -0.78 0.53
C -1.15 2.70 -0.44
C -0.61 -2.45 -5.04
C 3.33 -0.46 0.32
C -2.87 5.87 1.00
C 1.98 1.16 2.29
C 4.63 -1.10 -1.60
C 2.75 2.28 1.97
C -1.76 -2.67 5.24
C 0.34 -5.15 -0.60
C 0.65 1.25 -5.11
C 2.20 3.24 4.11
C -2.26 0.41 -3.62
C -1.35 -1.76 3.06
C 1.43 2.13 4.42
C -0.75 -5.96 -0.34
C -2.54 6.79 0.05
C 4.48 -0.45 1.11
C -1.14 -2.76 4.01
C -1.76 -5.51 0.50
C -1.80 6.39 -1.08
C -2.60 -1.59 5.53
C 0.44 -3.89 -0.02
C -1.65 4.11 -0.32
C -1.68 -4.26 1.10
C -1.36 5.05 -1.25
C -0.57 -3.45 0.85
C 2.86 3.32 2.89
C -2.44 4.51 0.83
C 1.13 0.52 -3.86
C -0.54 -2.41 -3.51
C 3.41 -0.77 -1.03
C -2.81 -0.60 4.58
H -4.40 0.12 -3.49
H 4.43 -0.19 2.16
H 0.33 -2.93 -3.12
H 1.13 -5.50 -1.25
H -3.54 -0.33 -2.01
H -1.42 -2.86 -3.04
H -2.17 0.35 -4.70
H 0.21 0.57 -5.84
H -2.45 2.73 1.40
H -0.82 -6.94 -0.79
H -0.67 -3.48 -5.39
H -3.45 6.12 1.88
H -2.62 -6.15 0.71
H -1.56 7.13 -1.84
H -0.77 4.76 -2.12
H 1.84 -0.28 -4.10
H -1.49 -1.93 -5.42
H -3.46 0.24 4.80
H 1.74 -2.05 2.45
H -2.86 7.82 0.16
H 6.60 -0.79 1.14
H -0.50 -3.61 3.79
H -1.61 -3.44 5.98
H -0.09 2.02 -4.87
H -2.28 1.46 -3.34
H 4.69 -1.34 -2.65
H 0.93 2.07 5.38
H 0.28 -2.01 -5.49
H 1.49 1.75 -5.60
H 2.51 -0.76 -1.64
H 2.30 4.05 4.83
H 0.72 0.22 3.76
H -2.34 0.09 2.60
H 3.47 4.18 2.65
H -2.47 -3.92 1.76
H 6.73 -1.35 -1.26
H -3.49 -1.38 -3.42
H 3.27 2.34 1.03
H 1.30 -3.27 -0.21
H -3.09 -1.53 6.49
H 1.61 1.20 -3.15


86
Properties=species:S:1:pos:R:3 method="wB97M-V/def2-TZVPD" spin_multiplicity=2 e_lumo_ev="-6.829 / -6.492" gap_ev="5.87 / 6.61" e_tot_ev=-56630.1041 s_squared=0.756 total_charge=+2 de_lowest_kcal_mol=1.5 e_homo_ev="-12.699 / -13.101"
Re -0.20 0.40 0.27
Sb 1.12 2.72 -0.64
N 0.80 0.78 2.29
N -1.02 0.61 -1.72
N 0.23 -2.79 -1.21
N -1.27 -1.09 1.36
N -2.01 1.22 0.56
N 1.57 -0.51 -0.01
C 3.07 3.25 -0.03
C 1.94 -1.02 -1.32
C -4.09 3.37 -1.77
C 3.20 0.90 2.98
C -2.40 -0.61 1.99
C -3.56 2.99 -2.97
C 0.70 -4.15 -0.85
C -3.86 1.23 2.29
C 2.57 -1.76 -3.94
C -1.06 -2.86 -1.90
C 4.52 0.51 2.83
C 3.25 -0.71 -3.33
C -2.52 2.04 -2.99
C -2.60 -2.66 3.23
C -2.04 1.54 -1.78
C -1.94 1.55 -4.19
C -0.95 0.62 -4.12
C 4.85 -0.34 1.78
C -2.59 1.92 -0.54
C 0.38 -0.05 3.47
C -0.50 0.18 -2.87
C 1.59 -2.43 -3.23
C -4.19 -0.77 3.61
C -4.56 0.49 3.29
C -3.08 -1.36 2.96
C -1.49 -3.13 2.58
C -3.61 2.83 -0.55
C 0.55 2.21 2.69
C -2.80 0.69 1.63
C 2.24 0.49 2.07
C 2.93 -0.35 -2.04
C 2.58 -0.27 0.97
C 0.05 4.50 -0.21
C 3.89 -0.73 0.86
C -0.83 -2.30 1.66
C 1.25 -2.07 -1.92
C 1.37 3.01 -2.72
H 3.25 4.26 -0.40
H 0.08 -2.61 1.16
H 3.79 2.56 -0.48
H -0.06 -4.65 -0.25
*/
We delve into our own experiences as well, discussing what the after-trail funk is like for us, and how the way Dr. Baker reframes this sensation as grief rather than depression strongly resonates for each of us.
As always, thank you for tuning in! We hope this episode holds some value for you.
Remember, if you are struggling, you are not alone. Please don't hesitate to seek extra support. One free option available 24/7, is the Crisis Text Line. Just text "HELLO" to 741741 at any time and you will be connected with a trained listener.
Take care of yourselves, Trekkies!
Send your Trail Blues stories, your love letters, hate mail, questions, comments, suggestions, and boot-shaped confetti to:
Follow us on:
Instagram @highwatertrekco
Facebook @highwatertrekco
Theme song "Ozark Stomp" by the talented Peter J. Lehman. Give him a follow on Instagram to find his singles and albums, and to keep up with what he has going on:
And just in case you missed it, here is the episode on:
Nature and Mental Health
Do you want to join the Dr. Baker fan club? Check out her articles and interviews:
Post Trail Depression: It's Not What You Think
Trail Science: Grief, Depression, and Identity in the Time of COVID-19
(The following podcast interviews can be found on Apple, Spotify & other platforms)
Backpacker Radio Podcast, Episode #80: Dr. Anne Baker on Post-Trail Depression
Outside/In Podcast: "Even Hikers Get The Blues"
Other resources:
Post Adrenalin Blues by Eileen Kennedy-Moore, Ph.D.
Understanding the Post-Race Blues by David Roche
Thursday Jun 08, 2023
Trailments: Infections and Allergens
Thursday Jun 08, 2023
Thursday Jun 08, 2023
Welcome back Trekkies! Join Team Giggles (and an abundance of song birds) for some front porch sittin' as they discuss physical ailments that can put a damper on your trail time, and can even result in dangerous outcomes.
Katy dives into the immune's lymphatic system, and explains the biological processes behind infection. Tune in to hear the scoop on how to prevent and treat infections while out in the wilderness, as well as Katy's disdain for the word "Pus." Sam discusses the best ways to fend off allergens on trail, and how to cope with allergic reactions when they do occur. And while both conditions are generally mild and manageable, our hosts acknowledge the possible critical nature of these trailments and discuss best practices in worst case scenarios.
And while our hosts may never get to ride on the Magic School Bus, they hope their explorations of biological processes would make Ms. Frizzle proud!
Reach out and let us know that you are listening! Do you have any grody infection stories to share? Do you hate us and feel the need to let us know? Drop us a line! We would love to hear from you!
Follow us on:
Instagram @highwatertrekco
Facebook @highwatertrekco
Join us in the Movement for Mental Health! This Challenge will remain open indefinitely. Register for free and check out our merch HERE
Theme song "Ozark Stomp" by the talented Peter J. Lehman. Give him a follow on Instagram to find his singles and albums, and keep up with what he has in the works, @peterjlehmanmusic
Gross yet inspirational infected blister on AT hiker can be found here:
Be warned! Intense Infection Post
Thursday May 25, 2023
Looking Back on 20 Episodes
Thursday May 25, 2023
Thursday May 25, 2023
20 Episodes, WHAAAAT?
Highwater Trek Co's 20th Episode has come and gone.
Join us as we look back over the last 20 episodes and reflect on all we've learned, things we wish we'd done differently, and our hopes for the future!
We (and the creaky farm table) converse about our desire to be more naturally--conversational, our biggest challenges, having the confidence to own this space and do less self-censoring, our favorite and least favorite episodes, the things we are proud of, and the things we hope to improve moving forward.
A special thanks to the listeners who have stuck with us thus far as we've continued to hone our technical skills, learned many lessons about ourselves and tried out some different episode formats. This podcast is nothing, if not an evolution, and we are so thankful you are here with us.
As always, we welcome your questions, comments, suggestions, stories, love letters, and hate mail! Let us know what areas you think we can improve by emailing us at:
Follow us on:
Instagram @highwatertrekco
Facebook @highwatertrekco
Join us in the Movement for Mental Health! This Challenge will remain open indefinitely. Register for free and check out our merch HERE
Theme song "Ozark Stomp" by the talented Peter J. Lehman. Give him a follow on Instagram to find his singles and albums, and keep up with what he has in the works, @peterjlehmanmusic
Find more info on the Twin Pines Conservation Education Center
Friday May 12, 2023
Lessons Learned, Pieces of Advice, & Grains of Salt
Friday May 12, 2023
Friday May 12, 2023
Welcome back to Highwater Trek Co's podcast, where we discuss all things hiking!
As recounted in today's episode, Katy recently had the experience of leading backpacking novices through a tough Ozark section of trail. Her adventure led our hosts to ponder what they believe to be the most important advice for beginners, and the lesson learning required of them to reach these conclusions.
Tune in to hear Team Giggles discuss honoring your body, keeping expectations in check, and leaving room for the unknown while backpacking. Our hosts also offer practical advice for keeping your feet happy on trail, cutting weight from packs, and being properly prepared yet adaptable.
(Between two parts of the page: calculated molecules)
<<<
1.
The following is a quantum chemistry calculation of a molecular structure, C15H32CeN8O6 at a distorted geometry, from OMol25.

Structure (XYZ):
```
62
Properties=species:S:1:pos:R:3:lowdin_spin:R:1
O 0.270 -0.454 -3.352 0.004
H 0.632 0.054 -4.103 0.000
Ce 0.694 -0.343 -1.005 0.944
N 0.207 1.670 0.406 0.082
N 1.733 1.720 -1.657 -0.130
N -0.888 -1.233 0.665 -0.001
N -0.284 -2.501 -1.533 -0.001
O -0.761 1.780 1.300 0.067
O -1.197 -0.623 1.852 -0.002
O -0.111 -3.192 -2.746 -0.001
O 2.581 0.695 -1.854 -0.070
C 2.064 2.621 -0.665 0.063
C 1.160 2.659 0.426 -0.026
C -1.385 -2.489 0.551 0.016
C -1.021 -3.192 -0.649 0.017
C 1.285 3.604 1.571 -0.007
H 1.820 3.135 2.411 -0.002
H 0.291 3.906 1.918 -0.002
H 1.844 4.498 1.273 0.000
C 3.327 3.400 -0.728 0.011
H 3.671 3.438 -1.768 0.000
H 4.121 2.936 -0.118 0.005
H 3.176 4.424 -0.365 0.002
C -2.222 -3.127 1.609 0.002
C -1.470 -4.585 -0.915 0.003
H -2.643 -2.368 2.274 0.000
H -1.627 -3.830 2.213 0.001
H -3.038 -3.701 1.152 0.001
H -0.991 -4.956 -1.824 0.000
H -2.561 -4.619 -1.048 0.001
H -1.221 -5.240 -0.070 0.001
H -1.038 0.404 1.660 0.001
H 0.086 -2.496 -3.407 0.000
C -0.847 0.455 -2.578 0.014
H -0.401 1.373 -2.135 0.004
H -1.458 -0.170 -1.892 0.002
H -1.496 0.776 -3.389 0.001
O -3.213 2.569 0.117 0.002
H -3.939 2.103 0.562 0.000
H -2.400 2.288 0.603 0.001
C 2.389 -0.368 2.098 0.000
N 2.491 -1.195 0.844 -0.002
C 2.230 -2.629 1.220 0.000
N 3.156 -3.114 2.262 0.000
C 3.029 -2.244 3.457 0.000
N 3.320 -0.824 3.141 0.000
C 4.706 -0.754 2.614 0.000
N 4.876 -1.580 1.399 0.000
C 3.913 -1.114 0.372 0.000
C 4.546 -2.981 1.754 0.000
H 1.359 -0.434 2.479 0.000
H 2.616 0.681 1.844 0.000
H 2.348 -3.254 0.322 0.000
H 1.194 -2.705 1.583 0.000
H 3.750 -2.584 4.213 0.000
H 2.003 -2.318 3.845 0.000
H 4.941 0.292 2.371 0.000
H 5.387 -1.130 3.390 0.000
H 4.025 -1.748 -0.520 0.000
H 4.146 -0.070 0.115 0.000
H 5.235 -3.311 2.544 0.000
H 4.656 -3.609 0.859 0.000
```

Calculated values
HOMO-LUMO gap (alpha / beta) (eV): 5.917 / 6.346
Multiplicity: 2
Total charge: +1
Expectation value of S²: 0.83

---

2.
The following is a quantum chemistry calculation of a molecular structure, C15H32Hg2NO7S2 at a distorted geometry, from OMol25.

Structure (XYZ):
```
59
Properties=species:S:1:pos:R:3:nbo_charge:R:1
Hg -0.037 2.046 5.668 0.695
Hg -2.760 2.060 4.551 1.212
O 0.077 0.314 1.589 -0.688
C -0.339 0.762 2.789 0.981
O 0.283 0.550 3.841 -0.772
O -1.450 1.365 2.841 -0.875
H -0.756 0.496 1.107 0.501
C 4.050 -3.448 -0.696 -0.583
C 3.535 -2.147 -1.410 -0.258
N 2.322 -2.391 -2.216 0.130
C 2.268 -1.648 -3.482 -0.266
C 3.419 -1.843 -4.431 -0.640
C 1.040 -2.387 -1.458 -0.265
C 0.152 -1.181 -1.533 -0.635
H 3.442 -3.610 0.189 0.241
H 5.053 -3.243 -0.320 0.280
H 4.152 -4.212 -1.462 0.261
H 3.216 -1.569 -0.532 0.302
H 4.288 -1.579 -1.945 0.266
H 1.345 -2.067 -3.900 0.263
H 2.099 -0.587 -3.232 0.317
H 4.393 -1.588 -4.015 0.237
H 3.512 -2.870 -4.784 0.268
H 3.194 -1.186 -5.271 0.277
H 1.411 -2.653 -0.466 0.242
H 0.483 -3.301 -1.712 0.309
>>>
And while our hosts feel passionate about their message, they also believe that advice should be taken with a grain of salt. So while they may offer guidance, they recognize that each individual hiker is unique, and some of the most important lessons from the trail can only be learned through time and experience.
Follow us on:
Instagram @highwatertrekco
Facebook @highwatertrekco
Send your biggest trail pet peeves, questions, comments, suggestions, stories, love letters, or hate mail to:
Theme song "Ozark Stomp" by Peter J. Lehman. Give him a follow on Instagram: @peterjlehmanmusic
Thursday Apr 27, 2023
Solo Section Hike on the Ouachita Trail
Thursday Apr 27, 2023
Thursday Apr 27, 2023
Welcome back, Highwater Trekkies!
Buckle up and settle in friends, for Katy's chaotic and "like"-riddled account of her first solo section hike.
Katy chronicles in rambling and unfocused detail, what went into planning her first solo section hike and her first backpacking trip with her dog in tow, why she chose the Ouachita, and how it all went.
Follow along as she hikes in the wrong direction, meets Mustache, questions whether or not she actually died the first night, seriously overthinks an interaction with a fellow hiker following a mildly-stressful river crossing, and trudges through the rain to be rewarded with a super extended snack break.
Can you listen as patiently as Sam?
As always, thank you for tuning in! We're sorry and you're welcome.
PLEASE consider joining the Spring Challenge if you haven't already! You can register for free HERE
Follow us on:
Instagram: @highwatertrekco
Facebook: @highwatertrekco
Send your most awkward trail interactions, questions, comments, suggestions, stories, love letters or hate mail to:
Theme song "Ozark Stomp" by the talented Peter J. Lehman. Give him a follow on Instagram: @peterjlehmanmusic
The links we promised:
~~~
{
  "formula": "C88H180F18N8O12",
  "method": "wB97M-V/def2-TZVPD",
  "e_above_lowest_kj_mol": 0.0,
  "homo_energy_ev": -10.13,
  "orbital_gap_ev": 7.448,
  "charge": 2,
  "total_energy_ha": -6598.50122,
  "e_lumo_ev": -2.685,
  "elements": ["C", "C", "C", "N", "C", "C", "C", "C", "C", "H", "H", "H", "H", "H", "H", "H", "H", "H", "H", "H", "H", "H", "H", "H", "H", "H", "H", "C", "C", "C", "N", "C", "C", "C", "C", "C", "H", "H", "H", "H", "H", "H", "H", "H", "H", "H", "H", "H", "H", "H", "H", "H", "H", "H", "C", "C", "C", "N", "C", "C", "C", "C", "C", "H", "H", "H", "H", "H", "H", "H", "H", "H", "H", "H", "H", "H", "H", "H", "H", "H", "H", "C", "C", "C", "N", "C", "C", "C", "C", "C", "H", "H", "H", "H", "H", "H", "H", "H", "H", "H", "H", "H", "H", "H", "H", "H", "H", "H", "C", "C", "C", "N", "C", "C", "C", "C", "C", "H", "H", "H", "H", "H", "H", "H", "H", "H", "H", "H", "H", "H", "H", "H", "H", "H", "H", "C", "C", "C", "N", "C", "C", "C", "C", "C", "H", "H", "H", "H", "H", "H", "H", "H", "H", "H", "H", "H", "H", "H", "H", "H", "H", "H", "C", "C", "C", "N", "C", "C", "C", "C", "C", "H", "H", "H", "H", "H", "H", "H", "H", "H", "H", "H", "H", "H", "H", "H", "H", "H", "H", "C", "C", "C", "N", "C", "C", "C", "C", "C", "H", "H", "H", "H", "H", "H", "H", "H", "H", "H", "H", "H", "H", "H", "H", "H", "H", "H", "C", "O", "O", "C", "F", "F", "F", "C", "C", "H", "H", "H", "H", "H", "H", "C", "O", "O", "C", "F", "F", "F", "C", "C", "H", "H", "H", "H", "H", "H", "C", "O", "O", "C", "F", "F", "F", "C", "C", "H", "H", "H", "H", "H", "H", "C", "O", "O", "C", "F", "F", "F", "C", "C", "H", "H", "H", "H", "H", "H", "C", "O", "O", "C", "F", "F", "F", "C", "C", "H", "H", "H", "H", "H", "H", "C", "O", "O", "C", "F", "F", "F", "C", "C", "H", "H", "H", "H", "H", "H"],
~~~
Like, Subscribe, Follow...do all the things for the most delightful Mustache you'll meet on trail: Mustache's YouTube Channel
Thank you to our very first participant to register for the Spring Challenge! Check out her ART HERE!!
Thursday Apr 13, 2023
Water, Ticks, Snakes, and Bears, Oh My!
Thursday Apr 13, 2023
Thursday Apr 13, 2023
Welcome to the latest episode of the Highwater Trek Co podcast! In today's episode, our hosts will discuss some common hazards one may encounter on an Ozarks trail in the springtime and year round. Join in as the conversation starts with water crossing safety, and continues as we discuss several critters that bite.
Sam gives us the scoop on our slithery snake friends, and discusses tips to navigate water crossings safely. Katy serves the lowdown on the most disliked critter to be found in the Ozarks: Ticks. Though these creepers may strike fear into our hearts, Katy breaks down the life cycle of these "Velociraptors of the Ozarks" and provides information on how to keep the little buggers at bay. She also discusses the populations of bears that reside in the Ozarks, who are often unreasonably feared.
The hosts also consider other critters to be on the lookout for, and (after a few mentions of the traumatizing nature of Old Yeller) discuss how to keep your own pet healthy and safe from disease.
Follow us on:
Instagram @highwatertrekco
Facebook @highwatertrekco
Send your biggest trail pet peeves, questions, comments, suggestions, stories, love letters, or hate mail to:
Theme song "Ozark Stomp" by Peter J. Lehman. Give him a follow on Instagram: @peterjlehmanmusic
Info from Episode:
Missouri Share the Harvest Program
National Snakebite Support
Snakebite Recovery Position
Thursday Mar 23, 2023
Trail Etiquette
Thursday Mar 23, 2023
Thursday Mar 23, 2023
Highwater Trek Co's Sam and Katy are back to talk trail etiquette, do's and don't's, the principles of Leave No Trace, and how to avoid being dubbed the trail nincompoop.
Have you ever wondered how not to be a dipsh*t on trail? Well set your fears of ineptitude aside and open your ears, because we did some digging, and we're here to share what we found! Join us as we talk about trail right-of-ways, advocating for your pet, proper primitive pooping, and how to be a considerate human being in the backcountry.
If in doubt, read the room! Or trail. Or campsite. Remember what Emily Post says: "Manners are a sensitive awareness of the feelings of others. If you have that awareness, you have good manners, no matter what fork you use".
*Please Note* you probably figured this out on your own, but when Katy excitedly announced "NUMBER FIVE" and then failed to tell you what that was before diving in--it was the Leave No Trace Principle "Minimize Campfire Impacts". Sorry about that.
DON'T FORGET! Our Spring Challenge begins April 1st. Keep your eyeballs peeled for more details to be announced soon.
As always, thank you for tuning in! We're sorry and you're welcome.
Follow us on:
Instagram @highwatertrekco
Facebook @highwatertrekco
Send your biggest trail pet peeves, questions, comments, suggestions, stories, love letters, or hate mail to:
Theme song "Ozark Stomp" by Peter J. Lehman. Give him a follow on Instagram: @peterjlehmanmusic